+++
(1)
95
Properties=species:S:1:pos:R:3 method="wB97M-V/def2-TZVPD" charge=-1 orbital_gap_ev=8.08 total_energy_ev=-52503.0780 e_above_lowest_kcal_mol=5.9
C -0.31 2.56 5.01
H 0.57 3.20 5.17
C 0.11 1.17 4.56
H -0.77 0.58 4.30
H 0.60 0.66 5.39
C 1.07 1.14 3.36
C 1.76 -0.22 3.33
O 1.34 -1.14 4.01
C 3.00 -0.36 2.48
C 4.03 0.74 2.77
H 3.65 1.71 2.47
H 4.93 0.54 2.20
H 4.29 0.76 3.83
H 2.70 -0.26 1.44
C 3.67 -1.75 2.66
O 3.91 -2.02 4.03
H 3.04 -2.02 4.45
H 4.66 -1.72 2.20
C 2.87 -2.90 2.01
C 3.55 -4.23 2.31
H 3.70 -4.35 3.39
H 2.95 -5.06 1.95
H 4.53 -4.27 1.83
H 1.87 -2.91 2.47
C 2.72 -2.71 0.48
H 3.34 -1.89 0.13
C 1.27 -2.43 0.06
C 1.16 -2.35 -1.44
C 0.92 -3.52 -2.14
C 0.80 -3.53 -3.52
C 0.89 -2.35 -4.24
C 1.12 -1.16 -3.55
C 1.29 -1.15 -2.15
C 1.58 0.19 -1.47
O 2.17 0.21 -0.38
O 1.21 1.22 -2.10
O 1.16 -0.02 -4.26
H 1.20 0.71 -3.55
C 0.73 -2.31 -5.73
H -0.11 -1.67 -5.99
H 1.62 -1.89 -6.19
H 0.56 -3.31 -6.13
H 0.62 -4.46 -4.04
H 0.82 -4.45 -1.59
H 0.94 -1.50 0.52
H 0.63 -3.24 0.42
H 3.06 -3.62 -0.03
H 1.84 1.90 3.49
C 0.38 1.41 2.00
H 1.01 0.99 1.20
O -0.89 0.77 1.97
C -1.86 1.58 1.31
C -3.18 1.35 2.06
C -4.34 2.24 1.64
H -4.12 3.28 1.84
H -4.53 2.13 0.58
H -5.23 1.96 2.20
H -2.96 1.51 3.12
H -3.45 0.30 1.95
C -1.35 3.03 1.41
H -1.55 3.56 0.49
H -1.85 3.54 2.23
C 0.16 2.91 1.69
C 1.03 3.38 0.53
H 2.08 3.32 0.81
H 0.90 2.76 -0.35
H 0.80 4.41 0.28
H 0.42 3.51 2.57
C -1.89 1.15 -0.18
C -2.15 -0.33 -0.40
H -1.40 -0.91 0.13
C -2.08 -0.61 -1.90
H -1.06 -0.45 -2.25
H -2.34 -1.65 -2.09
C -3.03 0.30 -2.69
C -2.85 0.10 -4.20
C -3.21 -1.31 -4.67
H -2.46 -2.02 -4.32
H -4.18 -1.59 -4.28
H -3.24 -1.34 -5.75
H -3.50 0.82 -4.71
H -1.81 0.32 -4.47
O -4.38 -0.02 -2.38
H -4.52 0.27 -1.47
C -2.81 1.78 -2.29
C -1.58 2.47 -2.88
H -1.69 2.57 -3.96
H -1.50 3.46 -2.45
H -0.66 1.93 -2.67
H -3.70 2.33 -2.63
O -2.87 1.92 -0.88
H -3.13 -0.61 -0.01
H -0.89 1.38 -0.58
H -0.85 2.50 5.95
H -0.96 3.04 4.28

***

(2)
100
Properties=species:S:1:pos:R:3 method="wB97M-V/def2-TZVPD" charge=+3 orbital_gap_ev="5.60 / 5.49" total_energy_ev=-126453.2078 e_above_lowest_kcal_mol=28.1
W 0.01 0.10 -0.03
C -3.58 1.13 -2.36
C -2.25 0.90 -2.06
N -1.82 0.41 -0.89
C -2.82 0.04 0.02
C -4.18 0.31 -0.19
C -4.56 0.87 -1.42
C -5.10 -0.01 0.85
C -4.68 -0.58 2.01
C -3.32 -0.93 2.22
C -2.82 -1.53 3.38
C -1.48 -1.83 3.47
C -0.64 -1.57 2.41
N -1.06 -0.99 1.26
C -2.40 -0.64 1.19
H -3.85 1.55 -3.32
H -1.48 1.17 -2.77
H -5.60 1.09 -1.63
H -6.15 0.23 0.71
H -5.40 -0.80 2.79
H -3.50 -1.75 4.20
H -1.08 -2.28 4.37
H 0.41 -1.84 2.42
C 4.41 1.77 1.24
N 3.41 0.71 1.34
C 3.00 0.39 2.70
C 3.16 -0.14 0.33
N 1.89 -0.66 0.23
C 1.86 -2.09 -0.02
C 2.80 -2.93 0.56
C 2.83 -4.27 0.24
C 1.93 -4.77 -0.68
C 0.97 -3.95 -1.24
C 0.88 -2.60 -0.89
N -0.03 -1.67 -1.45
C -1.02 -2.16 -2.25
N -1.16 -1.58 -3.46
C 0.00 -1.06 -4.17
C -2.39 -1.51 -4.24
N -1.83 -3.16 -1.90
C -2.52 -4.01 -2.87
C -2.00 -3.62 -0.53
N 4.09 -0.43 -0.58
C 5.52 -0.45 -0.26
C 3.76 -0.97 -1.89
H 4.00 2.66 1.73
H 4.61 2.01 0.20
H 5.34 1.52 1.75
H 3.88 0.14 3.29
H 2.33 -0.46 2.70
H 2.50 1.25 3.15
H 3.53 -2.52 1.25
H 3.58 -4.92 0.68
H 1.98 -5.81 -0.98
H 0.30 -4.36 -2.00
H 0.09 -1.56 -5.14
H 0.91 -1.26 -3.61
H -0.09 0.01 -4.36
H -2.40 -2.23 -5.06
H -2.47 -0.51 -4.67
H -3.27 -1.68 -3.61
H -2.04 -3.95 -3.84
H -3.58 -3.77 -2.96
H -2.44 -5.05 -2.53
H -1.53 -2.95 0.17
H -1.55 -4.61 -0.41
H -3.07 -3.69 -0.31
H 5.68 -0.48 0.81
H 6.04 0.41 -0.68
H 5.95 -1.35 -0.70
H 2.72 -0.75 -2.14
H 3.89 -2.05 -1.92
H 4.41 -0.51 -2.63
C 0.81 4.71 3.63
Si -0.66 3.56 3.67
C -2.30 4.09 2.93
C -0.65 2.14 4.89
As -0.01 1.85 1.52
Si 0.39 2.95 -0.50
C 1.22 1.79 -1.85
C -1.16 3.75 -1.26
C 1.67 4.34 -0.45
H 0.99 5.18 4.59
H 0.68 5.49 2.88
H 1.70 4.13 3.36
H -2.92 4.66 3.61
H -2.85 3.19 2.63
H -2.11 4.69 2.04
H -1.15 2.37 5.83
H 0.38 1.85 5.12
H -1.15 1.29 4.43
H 0.67 0.88 -2.17
H 2.25 1.53 -1.58
H 1.31 2.40 -2.76
H -2.08 3.20 -1.07
H -1.07 3.90 -2.34
H -1.29 4.74 -0.81
H 2.65 4.02 -0.08
H 1.34 5.16 0.18
H 1.81 4.74 -1.46

***

(3)
102
+++

Set down the lines above from the one with "3.00 -0.36" to the one with "-5.14" character by character.

C 3.00 -0.36 2.48
C 4.03 0.74 2.77
H 3.65 1.71 2.47
H 4.93 0.54 2.20
H 4.29 0.76 3.83
H 2.70 -0.26 1.44
C 3.67 -1.75 2.66
O 3.91 -2.02 4.03
H 3.04 -2.02 4.45
H 4.66 -1.72 2.20
C 2.87 -2.90 2.01
C 3.55 -4.23 2.31
H 3.70 -4.35 3.39
H 2.95 -5.06 1.95
H 4.53 -4.27 1.83
H 1.87 -2.91 2.47
C 2.72 -2.71 0.48
H 3.34 -1.89 0.13
C 1.27 -2.43 0.06
C 1.16 -2.35 -1.44
C 0.92 -3.52 -2.14
C 0.80 -3.53 -3.52
C 0.89 -2.35 -4.24
C 1.12 -1.16 -3.55
C 1.29 -1.15 -2.15
C 1.58 0.19 -1.47
O 2.17 0.21 -0.38
O 1.21 1.22 -2.10
O 1.16 -0.02 -4.26
H 1.20 0.71 -3.55
C 0.73 -2.31 -5.73
H -0.11 -1.67 -5.99
H 1.62 -1.89 -6.19
H 0.56 -3.31 -6.13
H 0.62 -4.46 -4.04
H 0.82 -4.45 -1.59
H 0.94 -1.50 0.52
H 0.63 -3.24 0.42
H 3.06 -3.62 -0.03
H 1.84 1.90 3.49
C 0.38 1.41 2.00
H 1.01 0.99 1.20
O -0.89 0.77 1.97
C -1.86 1.58 1.31
C -3.18 1.35 2.06
C -4.34 2.24 1.64
H -4.12 3.28 1.84
H -4.53 2.13 0.58
H -5.23 1.96 2.20
H -2.96 1.51 3.12
H -3.45 0.30 1.95
C -1.35 3.03 1.41
H -1.55 3.56 0.49
H -1.85 3.54 2.23
C 0.16 2.91 1.69
C 1.03 3.38 0.53
H 2.08 3.32 0.81
H 0.90 2.76 -0.35
H 0.80 4.41 0.28
H 0.42 3.51 2.57
C -1.89 1.15 -0.18
C -2.15 -0.33 -0.40
H -1.40 -0.91 0.13
C -2.08 -0.61 -1.90
H -1.06 -0.45 -2.25
H -2.34 -1.65 -2.09
C -3.03 0.30 -2.69
C -2.85 0.10 -4.20
C -3.21 -1.31 -4.67
H -2.46 -2.02 -4.32
H -4.18 -1.59 -4.28
H -3.24 -1.34 -5.75
H -3.50 0.82 -4.71
H -1.81 0.32 -4.47
O -4.38 -0.02 -2.38
H -4.52 0.27 -1.47
C -2.81 1.78 -2.29
C -1.58 2.47 -2.88
H -1.69 2.57 -3.96
H -1.50 3.46 -2.45
H -0.66 1.93 -2.67
H -3.70 2.33 -2.63
O -2.87 1.92 -0.88
H -3.13 -0.61 -0.01
H -0.89 1.38 -0.58
H -0.85 2.50 5.95
H -0.96 3.04 4.28

***

(2)
100
Properties=species:S:1:pos:R:3 method="wB97M-V/def2-TZVPD" charge=+3 orbital_gap_ev="5.60 / 5.49" total_energy_ev=-126453.2078 e_above_lowest_kcal_mol=28.1
W 0.01 0.10 -0.03
C -3.58 1.13 -2.36
C -2.25 0.90 -2.06
N -1.82 0.41 -0.89
C -2.82 0.04 0.02
C -4.18 0.31 -0.19
C -4.56 0.87 -1.42
C -5.10 -0.01 0.85
C -4.68 -0.58 2.01
C -3.32 -0.93 2.22
C -2.82 -1.53 3.38
C -1.48 -1.83 3.47
C -0.64 -1.57 2.41
N -1.06 -0.99 1.26
C -2.40 -0.64 1.19
H -3.85 1.55 -3.32
H -1.48 1.17 -2.77
H -5.60 1.09 -1.63
H -6.15 0.23 0.71
H -5.40 -0.80 2.79
H -3.50 -1.75 4.20
H -1.08 -2.28 4.37
H 0.41 -1.84 2.42
C 4.41 1.77 1.24
N 3.41 0.71 1.34
C 3.00 0.39 2.70
C 3.16 -0.14 0.33
N 1.89 -0.66 0.23
C 1.86 -2.09 -0.02
C 2.80 -2.93 0.56
C 2.83 -4.27 0.24
C 1.93 -4.77 -0.68
C 0.97 -3.95 -1.24
C 0.88 -2.60 -0.89
N -0.03 -1.67 -1.45
C -1.02 -2.16 -2.25
N -1.16 -1.58 -3.46
C 0.00 -1.06 -4.17
C -2.39 -1.51 -4.24
N -1.83 -3.16 -1.90
C -2.52 -4.01 -2.87
C -2.00 -3.62 -0.53
N 4.09 -0.43 -0.58
C 5.52 -0.45 -0.26
C 3.76 -0.97 -1.89
H 4.00 2.66 1.73
H 4.61 2.01 0.20
H 5.34 1.52 1.75
H 3.88 0.14 3.29
H 2.33 -0.46 2.70
H 2.50 1.25 3.15
H 3.53 -2.52 1.25
H 3.58 -4.92 0.68
H 1.98 -5.81 -0.98
H 0.30 -4.36 -2.00
H 0.09 -1.56 -5.14